On NBC’s Meet the Press this morning, Rep. Steve King (R-IA) once again tried to defend and justify his recent claims that most DREAMers are actually drug smugglers with “calves the size of cantaloupes.”  This time, however, GOP strategist Ana Navarro was there to take him to task for... Continue »
The Scope and Energy of Immigration Reform Activities Beats the Ranting of a Pair of Nativist Kings  Creating a path to citizenship for undocumented immigrants is supported by a bipartisan majority of the House.  The only thing standing in the way is Republican leadership’s insistence on requiring a majority of Republicans... Continue »
Is Steve King running for President?  A few outlets seem to think it’s a possibility, based on news this week that King (already from Iowa) is soon visiting South Carolina.  He’ll be meeting with some right-wingers there, as well as some local politicians. As Peter Hamby at CNN reported:... Continue »
Senators Harkin and Durbin Join Business, Labor, DREAMers, and Others to Host Forum for Commonsense Immigration Reform Today, Senators Dick Durbin (D-IL) and Tom Harkin (D-IA) visited Rep. Steve King’s (R-IA) district to hold a pro-immigration forum in the wake of King’s ugly comments equating DREAMers with drug runners who have “calves the... Continue »
“Respect Our Families, Respect Our Work, and Give Us a Vote on Citizenship” View the photoblog here As Members of Congress head home for the August recess, United Farm Workers, United We Dream and America’s Voice sent all 224 of them off on today, with a sweet American-grown cantaloupe,... Continue »
+++
DFT (ωB97M-V with the def2-TZVPD basis set) results for a 5-piece molecular cluster, C28H67BO5 overall at a distorted geometry.

- Frontier orbital gap: 10.50 eV
- E: -1507.96157 hartree
- SMILES: CCCCCCCCCCCCCCCCCCBCCO.CCO.CCO.CCO.CCO
- Highest occupied orbital energy: -9.92 eV

Atoms and positions in Å:
C1 7.560 0.324 0.656
C2 6.358 0.613 -0.317
C3 4.991 -0.010 0.208
C4 4.017 -0.038 -1.019
C5 2.726 -0.859 -0.713
C6 1.717 -0.143 0.256
C7 1.369 1.307 -0.244
C8 1.944 2.450 0.646
C9 1.229 2.642 2.034
C10 0.134 3.793 2.023
C11 -0.858 3.483 0.855
C12 -2.221 4.252 0.920
C13 -3.291 3.379 0.124
C14 -4.057 4.200 -0.963
C15 -5.192 3.340 -1.688
C16 -5.208 1.834 -1.284
C17 -6.246 0.969 -2.079
C18 -6.204 -0.488 -1.432
B1 -7.244 -0.621 -0.200
C19 -6.851 -0.148 1.279
C20 -7.729 -0.782 2.441
O1 -8.777 -1.640 1.990
H1 8.231 -0.442 0.213
H2 8.097 1.286 0.811
H3 7.146 -0.026 1.623
H4 6.209 1.705 -0.446
H5 6.512 0.175 -1.331
H6 4.575 0.545 1.076
H7 5.126 -1.083 0.539
H8 3.838 0.996 -1.380
H9 4.552 -0.563 -1.850
H10 2.173 -1.095 -1.652
H11 3.052 -1.814 -0.242
H12 2.028 -0.174 1.323
H13 0.779 -0.743 0.204
H14 0.271 1.347 -0.389
H15 1.803 1.452 -1.263
H16 1.877 3.418 0.092
H17 3.026 2.264 0.820
H18 1.992 2.887 2.803
H19 0.710 1.688 2.282
H20 -0.428 3.652 2.976
H21 0.613 4.789 1.967
H22 -1.084 2.392 0.924
H23 -0.383 3.666 -0.129
H24 -2.557 4.496 1.945
H25 -2.124 5.201 0.337
H26 -2.727 2.589 -0.417
H27 -3.974 2.961 0.889
H28 -4.439 5.173 -0.596
H29 -3.317 4.445 -1.764
H30 -6.198 3.763 -1.449
H31 -5.031 3.424 -2.786
H32 -5.374 1.656 -0.201
H33 -4.209 1.382 -1.500
H34 -7.241 1.433 -1.929
H35 -5.961 0.835 -3.138
H36 -5.182 -0.665 -1.007
H37 -6.348 -1.275 -2.203
H38 -8.322 -1.064 -0.460
H39 -5.786 -0.353 1.541
H40 -6.965 0.962 1.383
H41 -7.071 -1.365 3.123
H42 -8.169 0.019 3.082
H43 -9.461 -1.047 1.677
C21 -10.414 4.094 -2.810
C22 -9.679 3.145 -1.884
O2 -8.694 3.843 -1.125
H44 -9.714 4.583 -3.489
H45 -11.164 3.563 -3.400
H46 -10.912 4.883 -2.240
H47 -9.167 2.372 -2.458
H48 -10.377 2.658 -1.195
H49 -9.147 4.517 -0.612
C23 6.883 -4.658 -1.406
C24 6.872 -3.243 -0.864
O3 6.461 -3.238 0.496
H50 5.891 -5.107 -1.326
H51 7.193 -4.674 -2.454
H52 7.566 -5.284 -0.828
H53 6.173 -2.621 -1.424
H54 7.868 -2.790 -0.930
H55 7.086 -3.779 0.989
C25 0.398 -4.357 2.461
C26 0.305 -2.860 2.229
O4 -0.631 -2.578 1.192
H56 0.704 -4.866 1.545
H57 1.118 -4.587 3.249
H58 -0.575 -4.765 2.745
H59 1.272 -2.459 1.925
H60 -0.011 -2.342 3.141
H61 -1.482 -2.925 1.471
C27 11.271 -6.273 -0.952
C28 10.846 -5.361 0.183
O5 9.556 -5.728 0.668
H62 10.550 -6.226 -1.770
H63 12.255 -5.992 -1.333
H64 11.310 -7.314 -0.618
H65 10.789 -4.328 -0.159
H66 11.562 -5.412 1.010
H67 9.609 -6.635 0.979

DFT (ωB97M-V with the def2-TZVPD basis set) results for a 9-piece molecular cluster, C28H67Cl3N3O20P5 overall at a distorted geometry.

- Frontier orbital gap: 10.66 eV
- E: -5863.86065 hartree
- SMILES: COP(=O)(OC)OC.COP(=O)(OC)OC.COP(=O)(OC)OC.COP(=O)(OC)OC.COP(=O)(OC)OC.ClC(Cl)Cl.CCCC#N.CCCC#N.CCCC#N
+++
Jorge Ramos–Univision’s news anchor and a man who has been called the “Walter Cronkite of Spanish-language news” has an op-ed today at ABC News/Univision blasting the Republican Party for its intransigence on immigration reform. Ramos notes that a couple weeks ago–before Steve King’s latest comments about DREAMers being drug runners... Continue »
The immigration reform movement is ready for the August recess.  Advocates are organizing events, gearing up for town halls and making sure members of Congress feel the heat.  The demand?  Give us a vote on citizenship.  The fact is that a bipartisan majority for immigration reform with an inclusive... Continue »
In her weekly column, Maribel Hastings, from America’s Voice, argues that if the House of Representatives approved Steve King’s amendment to defund DACA, their best way to apologize for King’s anti-immigrant comments would be to allow a vote for immigration reform with a path to citizenship.  Here’s her column,... Continue »
Here the text breaks off for data records:
........
ORCA calculation (the ωB97M-V functional and the def2-TZVPD basis) on C13H9N5O2 in the gas phase.

Geometry as XYZ:
```
29
Properties=species:S:1:pos:R:3:lowdin_charge:R:1
H -2.53523 0.40682 -0.40889 0.03
N -1.56824 0.68214 -0.35064 0.16
C -0.69641 -0.20638 0.03424 -0.30
C -1.18124 -1.49517 0.46395 -0.09
C -2.54899 -1.92002 0.37018 0.00
C -2.92439 -3.16603 0.87400 -0.08
C -1.97432 -4.00409 1.47246 -0.07
C -0.60836 -3.62418 1.49785 0.00
C -0.22255 -2.37409 0.99511 -0.24
N 1.09999 -1.99144 1.11079 0.08
N 1.52663 -0.82700 0.70069 0.11
N 0.66334 0.07595 0.11526 -0.02
C 1.19599 1.33468 -0.23311 -0.14
C 1.79004 2.00655 0.84969 0.01
C 2.22445 3.31776 0.67208 -0.06
C 2.22586 3.88280 -0.58643 -0.05
C 1.64026 3.19233 -1.67991 0.03
C 1.10035 1.89092 -1.53558 -0.10
N 0.61385 1.17028 -2.65167 -0.31
O -0.11319 1.77218 -3.46899 0.08
O 1.00112 -0.01373 -2.79211 0.08
H -3.28621 -1.26618 -0.08280 0.10
H -3.98265 -3.47772 0.95055 0.11
H -2.30171 -4.98528 1.88538 0.12
H 0.18829 -4.24905 1.91144 0.11
H 1.81052 1.50218 1.78348 0.11
H 2.57223 3.84261 1.53524 0.10
H 2.62318 4.85750 -0.80189 0.10
H 1.66738 3.66566 -2.63038 0.11
```

Its SMILES is [H]/N=c1\c2ccccc2nnn1-c1ccccc1[N+](=O)[O-]. For the HOMO-LUMO gap, the calculation gives 7.99 eV. As for the lowest unoccupied orbital energy: -0.737 eV. The total charge is 0. Its energy above the lowest of the compared OMol25 structures with the same formula, charge and spin is 0.00 kcal per mole.

---

ORCA calculation (the ωB97M-V functional and the def2-TZVPD basis) on 5 unconnected molecules or ions with the total composition C2H12O5.

Geometry as XYZ:
```
19
Properties=species:S:1:pos:R:3:lowdin_charge:R:1
C 1.26475 1.00452 -0.21181 -0.05
C 0.13156 1.89562 -0.58540 -0.30
O -0.48839 2.48367 0.25997 0.02
H 1.21516 0.58832 0.79272 0.08
H 1.51477 0.17653 -0.87251 0.05
H 2.11846 1.70331 -0.23121 0.09
H -0.06706 2.02075 -1.65758 0.11
O -0.05841 -0.23766 -2.80543 -0.07
H 0.41133 -0.96714 -2.34746 0.01
H 0.35341 -0.19129 -3.66096 0.03
O -1.05409 1.08067 2.56046 -0.06
H -1.34918 1.29245 3.45413 0.05
H -1.15702 1.96289 2.20120 0.02
O -1.20883 -1.73448 1.43213 -0.04
H -0.95149 -2.26769 2.15982 0.03
H -1.08336 -0.82563 1.77103 0.02
O 0.42236 -2.42929 -0.90275 -0.05
H -0.17019 -2.26249 -0.16357 0.00
H 0.15621 -3.29304 -1.19279 0.04
```

Its SMILES is CC=O.O.O.O.O. For the HOMO-LUMO gap, the calculation gives 10.31 eV. As for the lowest unoccupied orbital energy: 0.669 eV. The total charge is 0. Its energy above the lowest of the compared OMol25 structures with the same formula, charge and spin is 1.77 kcal per mole.

---

ORCA calculation (the ωB97M-V functional and the def2-TZVPD basis) on 2 unconnected molecules or ions with the total composition C10H16O.

Geometry as XYZ:
```
27
Properties=species:S:1:pos:R:3:lowdin_charge:R:1
C -1.42816 0.57811 -2.95964 -0.07
C -0.12083 0.49217 -2.24478 -0.30
C 0.02263 1.21930 -1.07489 -0.10
C 1.26629 1.42042 -0.51525 -0.05
C 2.24540 0.49055 -0.85854 -0.33
O 3.30606 0.65898 0.00751 -0.01
........
We warned House Republicans: following Steve King’s latest outrageous comments about most DREAMers being drug runners with “calves the size of cantaloupes,” there would be growing consequences for the Republican Party if House GOPers failed to disassociate themselves from Steve king (in terms of actions, not just w0rds).  Today, PPP... Continue »
Frank Sharry: “Speaker Boehner Allowed Steve King a Vote to Deport DREAMers, Why Not a Similar Vote on a Path to Citizenship?” New polling released today by Public Policy Polling (PPP) demonstrates that voters grasp the damage Rep. Steve King’s (R-IA) immigration approach is having on the GOP and... Continue »